Bottom Plates
(русская версия, к сожалению, потерялась, будет время - восстановлю)

Test for the gantry
When we were unloading the container, we put the bottom plates in place ready to be lifted as I would have had no means to do it myself.

Lifting four bottom plates was a real test for the gantry because as I said earlier they weighed over 200 kg each. And it worked!

Welding bottom plates
My plan was to weld the bow and aft plates first, then the left and right halves. There were only three jigs. I put aft plates on two aft jigs and clamped t-bars to their edges to provide some support for the bow plates. Then I put the bow plates on the first jig and the t-bar and tack welded them to the aft plates.
Then I started tack welding the left and the right halves. As per assembling instructions, I began from the middle of the boat and moved aft making sure that marks were aligned.
To join the plates, I used 2 ton hydrolic jack lifting both plates until they meet.

When I reached the aft, one side appeared to be shifted by about 3 mm relatively to the other and the marks at the aft were not aligned. They were still perfectly alinged in the middle. That made me think that the marks were not precise. The same happened to the bow plates. Moreover, the entire bottom was out of shape, particularly in the middle. It didn't follow the central jig lines. It basically kind of collapsed. My effort to straigten it, so that it becomes fully rested on a jig, caused the bow to lift off the jig and hover a few inches over it.
At that point I wasn't sure what went wrong and how to fix it. I decided to carry on with the longitudinal members to provide a bit of rigidity to the bottom. It took me a weekend to put them in place. Unfortunately, I didn't make a picture of them but they would be shown on the next pages as part of the frame installation.

First mistakes
I did not want to begin the construction with compromises, so after longitidinal bottom stringers were in place, I ground off the welds holding left and right sides of the bottom and moved one side, so that the middle marks are misaligned by 3 mm.
Prior to rejoining two sides from scratch, to prevent the bottom from collapsing, I decided to install the central bulkhead to keep the bottom plates in shape with the jig.
The result was better but still not perfect. One side was still shifted relative to the other by about 1 mm.
I decided that this was acceptable since the kit had been cut with 1 mm precision. Of course, I would have to grind it off before installing the transom.
The problem with the bow though still remained. It kept hanging few inches over the bow jig.
I had remained puzzled till next spring. I emailed Bruce asking if he had an idea of how to fix it. I thought that might be under the hull weight the bow would go down and lie on the jig. I also suggested to grind off some longitudinal welds to ease the tension in this direction. Even though Bruce agreed with it, the problem turned out to be so obvious that I was surprised that Bruce hadn't noticed it by looking at my pictures.
Next spring, when I was about to install the first frame, I realized that the bottom was lying on the jig in the wrong place. It had to be moved back by more than a meter! Also, the central bulkhead, which was in the right position relative to the jig, was in the wrong position relative to the bottom! It had to be removed and reinstalled.

[Someone pasted calculated crystals at this point]
- - -
Diffraction record for GdFe10Mo2N. The powder X-ray diffraction pattern is calculated, not measured: it uses a DFT-relaxed cell (GGA-PBE, Alexandria) and Cu Kα (λ = 1.5418 Å).
Intensities are scaled so that the largest is 100.

Cell and atoms:
Cell lengths 6.5686, 6.5686, 6.5686 Å; angles 137.37, 97.91, 97.27 degrees
Fractional positions:
Gd 0.0000 0.0000 0.0000
Fe 0.0000 0.0000 0.5000
Fe 0.0000 0.5000 0.0000
Fe 0.2204 0.7204 0.5000
Fe 0.2224 0.5000 0.7224
Fe 0.3602 0.3602 0.0000
Fe 0.5000 0.0000 0.0000
Fe 0.5000 0.5000 0.5000
Fe 0.6398 0.6398 0.0000
Fe 0.7776 0.5000 0.2776
Fe 0.7796 0.2796 0.5000
Mo 0.3586 0.0000 0.3586
Mo 0.6414 0.0000 0.6414
N 0.0000 0.5000 0.5000

Top 8 peaks for 2θ = 10–90°, low angle first:
two_theta  I_rel
36.30  32
36.47  30
37.68  22
41.61  35
41.89  21
42.15  100
43.28  75
48.36  22

~~~~~

Dy2Ge3Ir5: calculated X-ray diffraction stick pattern (Cu Kα (λ = 1.5418 Å)), based on a PBE-relaxed structure.

Crystal structure
```
data_Dy2Ge3Ir5
_chemical_formula_sum 'Dy8 Ge12 Ir20'
_cell_length_a 4.165
_cell_length_b 24.295
_cell_length_c 6.768
_cell_angle_alpha 90.00
_cell_angle_beta 90.00
_cell_angle_gamma 90.00
_symmetry_space_group_name_H-M 'C m c 21'
_symmetry_Int_Tables_number 36
loop_
_symmetry_equiv_pos_as_xyz
'x,y,z'
'-x,-y,z+1/2'
'-x,y,z'
'x,-y,z+1/2'
'x+1/2,y+1/2,z'
'-x+1/2,-y+1/2,z+1/2'
'-x+1/2,y+1/2,z'
'x+1/2,-y+1/2,z+1/2'
loop_
_atom_site_label
_atom_site_type_symbol
_atom_site_fract_x
_atom_site_fract_y
_atom_site_fract_z
_atom_site_occupancy
Dy1 Dy 0.000 0.022 0.000 1
Dy2 Dy 0.000 0.325 0.015 1
Ge1 Ge 0.000 0.111 0.731 1
Ge2 Ge 0.000 0.266 0.526 1
Ge3 Ge 0.000 0.455 0.794 1
Ir1 Ir 0.000 0.100 0.344 1
Ir2 Ir 0.000 0.207 0.230 1
Ir3 Ir 0.000 0.208 0.828 1
Ir4 Ir 0.000 0.368 0.552 1
Ir5 Ir 0.000 0.443 0.165 1
```

Main lines, most intense first (2θ = 15–90°):
hkl, 2theta, I_rel
1 3 2, 35.95, 100
1 7 1, 36.21, 61
2 0 0, 43.46, 49
1 9 0, 39.81, 42
0 4 3, 42.76, 28
1 13 3, 69.05, 27
1 1 2, 34.34, 23
0 10 1, 39.40, 23

~~~~~

SrCoIrO6: theoretical PXRD pattern (Cu Kα (λ = 1.5418 Å)), based on a structure optimized by DFT (GGA+U).

Crystal structure
Cell lengths 5.1017, 5.1017, 5.3817 Å; angles 90.00, 90.00, 120.00 degrees
Positions (direct):
Sr: 0.0000 0.0000 0.0000
Co: 0.3333 0.6667 0.5000
Ir: 0.6667 0.3333 0.5000
O: 0.0053 0.3835 0.6962
O: 0.0053 0.6219 0.3038
O: 0.3781 0.3835 0.3038
O: 0.3781 0.9947 0.6962
O: 0.6165 0.6219 0.6962
O: 0.6165 0.9947 0.3038

The 10 most intense peaks (2θ = 10–80°), sorted by position:
two_theta  I/Imax  (hkl)
16.47  329  0 0 1
20.10  219  1 0 0
26.09  1000  1 0 1
35.18  330  1 1 0
39.08  156  2 -1 1
44.32  214  2 0 1
49.22  412  2 -1 2
55.27  113  1 0 3
57.81  217  3 -1 1
63.13  110  3 0 0
- - -
[The entry goes on]

Placing diagonals
Prior to fixing my silly mistakes, I had to do what I should have done at the beginning - interconnect all three jigs with diagonals. They kept moving back and forth and I kept spending a lot of efforts on repositioning the bottom plates.
I got eight inch and a half by a quoter of an inch steel angles at a metal scrap yard, and cut them to length. Then I adjusted three jigs to be at the correct distance from each other, centered on the concrete pads and square. Then I welded the diagonals in place.

Removing the bulkhead
Removing the bulkhead wasn't a problem. I cut my tack welds with four and a half inch angle grinder using the metal cutting disk and then lifted it off with the gantry.
After having to redo the bottom plates and then the bulkhead, I began fully appreciate Bruce's repetitious comments about tack welding. He mentioned it many times on every page of the assembling instructions and in his book The Complete Guide to Metal Boates, which Tania presented me for my birthday.
Before putting it back in the new place, I welded in 40 by 40 mm vertical angles to prevent it from flopping. The angles will also serve as a support for interior finishing panels.

Moving the hull backward
The bottom had already weighed about a ton - too heavy for my half ton gantry. The next three pictures show how I used the combination ot two jacks and the gantry to move the hull backwards.

Basically, I used the gantry to pull the hull and two jacks to lift it off the jig. First, I attached the gantry to the aft bottom plates and stretched it, so it pull the hull backwards when it gets lifted of the jig. Then using my car jack I lifted the bottom plates of the rare jig. At this point the bottom was only supported by the middle jig. As I was slightly lifting it off the middle jig with my two ton hydrolic jack, the gantry was pulling the bottom backwards by few inches. After repeating this sequense of actions several times, I managed to put the bottom on its true place relative to the jigs.
What a relief was when I saw that the bow got lied on the front jig after I had moved the bottom.
It stayed on the jig even after I had installed the central bulkhead.
Numbers do not enumerate the bulkheads. There are only three of them: one (#0) for the very bow and two (#5 and #7) for the engine compartment. The number enumerates frame relative position starting from 0 at the bow and ending with #10 at the aft following the transom.